Featured Scientist Paige Prentice with her dog Yuba.

[What comes next are calculated crystals, not part of the entry]
Record 1
## Tm2S3 (PBE)

Data for a relaxed structure of Tm2S3.

It has space group R-3c (No. 167, hexagonal axes), with a = 6.8006 Å, b = 6.8006 Å, c = 18.3354 Å, α = 90.00°, β = 90.00° and γ = 120.00°. The inequivalent atoms are Tm at (0.0000, 0.0000, 0.1505) and S at (0.0000, 0.3024, 0.2500).

The calculation puts the energy with MP2020 corrections at -6.630 eV per atom. The formation energy comes out at -2.36 eV/atom. The calculation puts the uncorrected energy at -0.4651 Ry/atom. The calculated density is 5.89 g/cm3.


Record 2
## Tm2S3 (PBE)

Data for a relaxed structure of Tm2S3.

It has space group Pnma (No. 62), with a = 10.505 Å, b = 3.811 Å, c = 10.389 Å, α = 90.00°, β = 90.00° and γ = 90.00°. The inequivalent atoms are Tm at (0.011, 0.250, 0.187), Tm at (0.192, 0.250, 0.504), S at (0.046, 0.750, 0.374), S at (0.119, 0.250, 0.945) and S at (0.226, 0.750, 0.695).

The calculation puts the energy with MP2020 corrections at -6.617 eV per atom. The formation energy comes out at -2.34 eV/atom. The calculation puts the uncorrected energy at -0.4642 Ry/atom. The calculated density is 6.93 g/cm3.


Q: What is the formula in the second record?
A: Tm2S3


Q: Among the records above, which one has the highest energy with MP2020 corrections?
A: number 2


Q: The lowest uncorrected energy belongs to which entry?
A: number 1

~~~~~

Below is an optimized crystal structure of Sn3Sb, with properties calculated at the PBE level.

Geometry as POSCAR:
```
Sn3Sb
1.0
-1.969 2.640 3.523
-0.246 -3.920 2.799
4.396 0.963 1.735
Sn Sb
3 1
Cartesian
-1.107 -0.640 3.161
2.075 -1.478 2.267
1.213 1.801 2.629
0.000 0.000 0.000
```

Results
- energy of formation from the pure elements (eV/f.u.) = 0.155
- SG = No. 221
- electronic total energy (Ha/atom) = -0.145

~~~~~

(1)

Paige Prentice with ram captured and collared in the Mojave National Preserve. Click to enlarge

A group of ewes drink from a wildlife water source in the Marble Mountains. This photo was taken by a motion-activated trail camera. Click to enlarge

'''
1.
Density functional theory data (GGA+U) for K2Be3Co2F12 after structural relaxation.

abc: 10.254 10.254 10.254
angles: 90.00 90.00 90.00
Space group P2_13 (No. 198)
Inequivalent atoms, fractional coordinates:
1 K 0.051 0.051 0.051
2 K 0.184 0.316 0.684
3 Be 0.021 0.214 0.376
4 Co 0.100 0.900 0.400
5 Co 0.164 0.664 0.836
6 F 0.004 0.562 0.768
7 F 0.016 0.069 0.329
8 F 0.047 0.804 0.228
9 F 0.097 0.837 0.758

## Properties
Magnetic moment ... 0.32 μB per atom
Energy relative to the elements ... -2.993 eV per atom
Crystal system ... cubic
Corrected total energy (MP2020 scheme) ... -5.657 eV per atom
VASP energy ... -5.193 eV per atom


2.
Density functional theory data (GGA+U) for K2Be2CoO6F8 after structural relaxation.

abc: 5.979 11.401 8.136
angles: 90.00 105.44 90.00
Space group P2_1/c (No. 14)
Inequivalent atoms, fractional coordinates:
1 K 0.143 0.150 0.385
2 Be 0.252 0.650 0.900
3 Co 0.500 0.000 0.000
4 O 0.223 0.564 0.504
5 O 0.340 0.103 0.852
6 O 0.455 0.106 0.152
7 F 0.084 0.747 0.408
8 F 0.128 0.565 0.745
9 F 0.283 0.571 0.059
10 F 0.483 0.697 0.872

## Properties
Magnetic moment ... 0.58 μB per atom
Energy relative to the elements ... -1.672 eV per atom
Crystal system ... monoclinic
Corrected total energy (MP2020 scheme) ... -4.926 eV per atom
VASP energy ... -4.428 eV per atom


3.
Density functional theory data (GGA+U) for Be2CoN2F14 after structural relaxation.

abc: 5.709 10.582 10.024
angles: 90.00 102.57 90.00
Space group P2_1/c (No. 14)
Inequivalent atoms, fractional coordinates:
1 Be 0.160 0.221 0.089
2 Co 0.000 0.000 0.000
3 N 0.444 0.644 0.168
4 F 0.012 0.623 0.357
5 F 0.067 0.156 0.546
6 F 0.206 0.594 0.618
7 F 0.246 0.123 0.984
8 F 0.370 0.108 0.388
9 F 0.407 0.541 0.241
10 F 0.418 0.241 0.211

## Properties
Magnetic moment ... 0.05 μB per atom
Energy relative to the elements ... -1.774 eV per atom
Crystal system ... monoclinic
Polymorph energy (0 for the lowest one) ... 0.00 eV per formula unit
Corrected total energy (MP2020 scheme) ... -4.830 eV per atom
VASP energy ... -4.403 eV per atom


Here is crystalline Ba2PrMgCu4O8 at its relaxed geometry from Materials Project. Energies are from PBE.

Lattice parameters (Å, degrees): 3.8811 4.0601 15.6263 104.48 90.00 90.00
With the nearest neighbours (Å) after each atom.
Atoms (fractional coordinates):
1 Ba 0.5000 0.5088 0.6604  7 O 2.63-2.86
2 Ba 0.5000 0.6551 0.2822  8 O 2.81-2.96
3 Pr 0.5000 0.4167 0.0342  6 O 2.36-2.47
4 Mg 0.0000 0.0956 0.8042  4 O 1.97-2.14
5 Cu 0.0000 0.8212 0.9281  2 O 1.93-2.14
6 Cu 0.0000 0.0230 0.1427  4 O 1.99-2.03
7 Cu 0.0000 0.9096 0.5468  4 O 1.88-2.04
'''

A photo taken during a helicopter survey shows a ewe and a yearling ram (male bighorn) in the Granite Mountains. Click to enlarge

== Here the entry breaks off for calculated crystals ==
-- begin --
Record 1
VASP calculation (PBE+U) on crystalline NiPH6NO5 at its relaxed geometry.

Lattice parameters (Å, degrees): 5.6293 8.8979 4.7678 90.00 90.00 90.00
Closest atoms and distances in Å follow each position.
Sites, in units of the cell vectors:
Ni: 0.0000 0.0189 0.0000  6 O 2.03-2.17
Ni: 0.5000 0.9811 0.5000  6 O 2.03-2.17
P: 0.0000 0.8106 0.4280  4 O 1.53-1.58
P: 0.5000 0.1894 0.9280  4 O 1.53-1.58
H: 0.0000 0.5380 0.6834  1 N 1.05
H: 0.0000 0.5439 0.0437  1 N 1.05
H: 0.1393 0.1818 0.4157  1 O 0.99
H: 0.1513 0.4063 0.8730  1 N 1.04
H: 0.3487 0.5937 0.3730  1 N 1.04
H: 0.3607 0.8182 0.9157  1 O 0.99
H: 0.5000 0.4561 0.5437  1 N 1.05
H: 0.5000 0.4620 0.1834  1 N 1.05
H: 0.6393 0.8182 0.9157  1 O 0.99
H: 0.6513 0.5937 0.3730  1 N 1.04
H: 0.8487 0.4063 0.8730  1 N 1.04
H: 0.8607 0.1818 0.4157  1 O 0.99
N: 0.0000 0.4727 0.8680  4 H 1.04-1.05
N: 0.5000 0.5273 0.3680  4 H 1.04-1.05
O: 0.0000 0.1967 0.2934  2 H 0.99
O: 0.0000 0.6387 0.3696  1 P 1.55
O: 0.0000 0.8356 0.7460  1 P 1.53
O: 0.2199 0.8867 0.2812  1 P 1.58
O: 0.2801 0.1133 0.7812  1 P 1.58
O: 0.5000 0.1644 0.2460  1 P 1.53
O: 0.5000 0.3613 0.8696  1 P 1.55
O: 0.5000 0.8033 0.7934  2 H 0.99
O: 0.7199 0.1133 0.7812  1 P 1.58
O: 0.7801 0.8867 0.2812  1 P 1.58

## Properties
The value obtained for the formation energy is -1.43 eV/atom. As for the energy: -5.623 eV/atom.

Record 2
VASP calculation (PBE+U) on crystalline NiH8S2N4O8 at its relaxed geometry.

Lattice parameters (Å, degrees): 5.2098 5.9117 7.2984 89.46 74.76 81.96
Closest atoms and distances in Å follow each position.
Sites, in units of the cell vectors:
Ni: 0.0000 0.0000 0.0000  4 O 2.05-2.06, 2 N 2.18
H: 0.1282 0.0704 0.6161  1 N 1.03
H: 0.1430 0.7554 0.2408  1 N 1.04
H: 0.1549 0.4798 0.8087  1 N 1.03
H: 0.3463 0.3579 0.5820  1 N 1.03
H: 0.6537 0.6421 0.4180  1 N 1.03
H: 0.8451 0.5202 0.1913  1 N 1.03
H: 0.8570 0.2446 0.7592  1 N 1.04
H: 0.8718 0.9296 0.3839  1 N 1.03
S: 0.3663 0.2324 0.2183  4 O 1.48-1.52
S: 0.6337 0.7676 0.7817  4 O 1.48-1.52
N: 0.0606 0.1801 0.7334  2 H 1.03-1.04
N: 0.2167 0.3431 0.7143  2 H 1.03
N: 0.7833 0.6569 0.2857  2 H 1.03
N: 0.9394 0.8199 0.2666  2 H 1.03-1.04
O: 0.1537 0.2526 0.1091  1 S 1.52
O: 0.3238 0.4459 0.3338  1 S 1.48
O: 0.3415 0.0316 0.3411  1 S 1.48
O: 0.3628 0.7876 0.9213  1 S 1.50
O: 0.6372 0.2124 0.0787  1 S 1.50
O: 0.6585 0.9684 0.6589  1 S 1.48
O: 0.6762 0.5541 0.6662  1 S 1.48
O: 0.8463 0.7474 0.8909  1 S 1.52

## Properties
The total magnetization comes out at 0.0 μB/f.u. The value obtained for the formation energy is -0.89 eV/atom. As for the energy: -5.504 eV/atom.

Record 3
VASP calculation (PBE+U) on crystalline NiH12S2N2O10 at its relaxed geometry.

Lattice parameters (Å, degrees): 6.6726 11.4774 13.7265 99.93 88.99 100.98
Closest atoms and distances in Å follow each position.
Sites, in units of the cell vectors:
H: 0.4461 0.3740 0.5680  1 O 0.99
H: 0.3089 0.6355 0.1541  1 N 1.04
H: 0.6043 0.8968 0.4240  1 O 0.98
H: 0.3207 0.6217 0.4029  1 O 0.99
H: 0.4462 0.3741 0.0680  1 O 0.99
-- stop --

A group of ewes (female bighorn) with a lamb in Afton Canyon (San Bernardino County) as seen through a spotting scope. Click to enlarge
Wildlife biologist Paige Prentice grew up surrounded by trees in Nevada City, California, and knew she had selected the right college when she saw all the redwoods on the campus of UC Santa Cruz. But it was a seasonal job after college in Death Valley National Park that spawned her love of the desert, and today she is a Desert Bighorn Sheep Biologist with CDFW, based in Inyo County. Paige loves learning, evidenced by degrees in Ecology and Evolutionary Biology, and Anthropology at UCSC. Currently, she is working on her master’s degree in Wildlife Science through Oregon State University.
Do you remember when you first became so interested in science you realized it might become your career?
When I was a little kid, I used to tell people that I wanted to study elephants and gorillas. After college I had the opportunity to spend six months studying orangutans on the Island of Borneo in Indonesia. And while that was an awesome once-in-a-lifetime experience, I learned that I wanted to focus on species a little closer to home. Growing up, my folks were the type of people that would drive through deserts and say, “it’s just hot and dry and there’s nothing here.” I believed them, until I was 24 and I got a job in Death Valley as an AmeriCorps intern with the Park Service. It was then that fell in love with the desert. I was mesmerized by the expansive landscapes and amazed by how much life the desert supported. I was hired as a scientific aide with CDFW nearly six years ago when a position opened on the desert bighorn crew.
Why does CDFW dedicate staff to Desert Bighorn Sheep specifically?
Well first, you have to understand that in California we have three separately managed bighorn populations. Two populations are endangered and managed under their own recovery programs—the Sierra Nevada bighorn sheep and the peninsular bighorn sheep (San Diego, Riverside and Imperial counties). Then, there is the broad grouping of desert bighorn sheep which are not endangered—these are the ones I focus on. Because the two recovery programs have their own focused teams, I think it set a precedent for my position to focus solely on desert bighorn. That said, because there are over 50 mountain ranges with desert bighorn and we’re interested in questions at both the population and metapopulation level, it makes sense to have a desert bighorn sheep specific program.
As a bighorn sheep biologist, what are you studying? What are you looking at when trying to manage that population?
Great question. There is a lot to study, given that we are looking at over 50 distinct populations across a large geographic area that is fragmented by major interstates. On a broad scale, we’re looking at which mountain ranges have bighorn in them, how many animals are in each population and how the populations are connected to one another. We conduct ground, camera, and helicopter surveys to document age and sex ratios and recruitment (lambs surviving to adulthood). We capture and collar animals to track movements, monitor survival and to test for disease. We are interested in what type of diseases are present and what the short- and long-term impacts are. We also have artificial and natural water sources in the desert, and we work with NGOs, like the Society for the Conservation of Bighorn Sheep, to makes sure these sources are maintained and stay full of water.
We put out water for these animals?
It is a lot more complicated than “putting water out for them,” but yes, for the last 50 years, CDFW, with the help of NGOs, has built, maintained and repaired artificial water sources in many mountain ranges across the desert. With climate change and prolonged droughts, animals that used to just rely on water sources during the hot summer months are relying on these water sources year-round. Under normal conditions, bighorn sheep get most of the water they need from October to April from the forage that they eat. But during prolonged drought periods, the forage quality is poorer and has less water content, which forces animals to drink surface water. Furthermore, natural springs are drying up and/or becoming less reliable. In many of these ranges, artificial water sources appear to help stabilize these populations during otherwise variable conditions. If climate change continues to drive drought conditions in the desert, these water needs will likely continue and even increase.
What else does the department do to help these populations?
We use the data we collect to protect key movement corridors between populations. This involves working with different land management agencies and stakeholders to provide input and feedback on new projects and installations, such as high-speed trains and alternative energy projects.
In addition, education and outreach is our main tool to help reduce the spread of disease to bighorn populations. One of the biggest threats to bighorn sheep are diseases from domestic livestock, like sheep and goats. Just like with humans, if you have a population that is unexposed to certain diseases, new exposures can have serious effects. Domestic sheep owners can reduce risk to wild populations if their animals are well-fenced and they establish a 10-ft. buffer to keep wild sheep separate from their domestic animals. It is important for CDFW to develop strong relationships with the public, so they feel like partners in protecting wild bighorn populations. If a domestic sheep escapes into bighorn sheep habitat, the best thing the public can do is to notify CDFW so we can capture the domestic animal quickly.
Aren’t there times we capture sheep as well, shooting nets on them from helicopters?
Yes, we generally capture bighorn using a helicopter with a netgun. Thankfully, we’re not the ones that are flying for captures– we hire professionals for that. We conduct captures in the fall and this past November we captured and collared 100 animals across eight populations. It is a team effort and certainly a lot of work. I think some folks hear about the captures and think, “why capture wild animals?” But in fact, the work we do with captures provides the majority of the data we have to help protect these magnificent creatures.
What is it you like about bighorn sheep?
They completely captivate me. I am aware of very few species that are experts of such extreme environments. Within California, there are desert bighorn that live above 14,000 feet and navigate snow in the wintertime. A hundred miles to the south, there are animals in Death Valley that are living below sea level and are experiencing temperatures of over 125 degrees in the summer. When you track these animals and spend time in the landscapes in which they flourish, you can’t help but respect them. They are also one of the most graceful animals I have ever seen—watching them move with ease, at top speed up mountain sides is stunningly impressive.
What don't we know about bighorn sheep?
There are a lot of things we’re still learning. One of the big questions we're trying to understand is, what drives different responses to the same strain of pneumonia? If we can understand these drivers, perhaps we can help make these populations more robust and less susceptible to disease.
Changing gears a bit, if you weren't doing this, what would you be doing?
I laugh when people ask that. I am the type of person that tries to fit 36 hours into 24. I always have an endless list of things to do, and I rarely sit still—so I’m sure I would keep myself busy. I am an outdoor enthusiast, I love to travel, and I deeply value spending quality time with my family and friends. But career-wise, it is hard to say. Ten years ago, bighorn sheep weren’t even on my radar and now I’m working this dream job. I still consider myself to be an anthropologist. I am intrigued by the world of medicine. I am concerned about the environment. To me, the important part is that I am incredibly grateful for the for the opportunity to be pursuing my master’s degree, while working a job that I am passionate about, with a team that I deeply respect—that’s hard to beat.
Being an outdoor enthusiast, what’s a fun day like for you over in Bishop?
I live my life with the motto: work hard, play hard. Before work this morning, I went for a mountain bike ride. I love hiking and getting in the mountains with my dog. My newest hobbies include kayaking and kitesurfing. I love multi-day rafting trips and exploring new places with friends. If I have an excuse to get outdoors, I’ll take it.
CDFW photos